Another thought to keep in mind: in most communities (especially in rural or suburban areas) the kids don’t have a lot of options; movies are expensive, and ice cream parlors or local restaurants often close early. If they’re looking for a safe place to simply hang out, they need a home. And actually “hanging out” at your place is preferable to an official party that carries with it higher expectations than simply letting kids sit around and watch a movie or listen to music.

-- Misplaced molecular data --
┌──
Density functional theory data (ωB97M-V/def2-TZVPD) for a molecular structure, C37H21BrIrO8S6 at a distorted geometry.

The geometry in XYZ format:
```
74
Properties=species:S:1:pos:R:3:lowdin_spin:R:1
Ir -0.41 -0.82 -0.85 0.04
O 0.25 -5.00 3.93 0.00
C 0.09 -4.25 2.97 0.00
C -0.69 -4.54 1.76 0.00
O -1.32 -5.57 1.50 0.00
C -0.56 -3.32 0.90 0.00
C 0.19 -2.32 1.60 0.00
O 0.36 -1.14 1.05 0.00
C 0.68 -2.84 2.84 0.00
O 1.43 -2.35 3.68 0.00
O -0.97 -3.17 -0.26 0.00
S -6.12 3.30 -3.03 0.06
C -4.94 2.42 -2.30 0.01
S -3.46 3.14 -1.69 0.02
C -2.69 1.65 -1.17 0.17
C -3.43 0.49 -1.31 0.05
S -3.00 -1.07 -0.84 0.45
S -5.03 0.70 -2.03 -0.03
S -1.12 1.79 -0.53 0.16
O -2.18 -0.24 1.68 0.02
S -1.03 0.52 2.19 0.01
C -1.81 2.06 2.79 0.00
C -1.06 3.06 3.39 0.00
C -1.68 4.22 3.80 0.00
C -3.03 4.40 3.59 0.00
C -3.77 3.42 2.95 0.00
C -3.16 2.25 2.55 0.00
C -0.84 -0.07 3.90 0.00
C -1.91 -0.73 4.48 0.00
C -1.79 -1.26 5.75 0.00
C -0.59 -1.13 6.44 0.00
C 0.47 -0.46 5.86 0.00
C 0.35 0.07 4.58 0.00
H 0.00 2.91 3.55 0.00
H -1.10 5.00 4.29 0.00
H -3.51 5.32 3.91 0.00
H -4.83 3.57 2.77 0.00
H -3.70 1.46 2.05 0.00
H -2.81 -0.85 3.90 0.00
H -2.62 -1.79 6.20 0.00
H -0.48 -1.57 7.42 0.00
H 1.41 -0.39 6.38 0.00
H 1.19 0.56 4.11 0.00
Br 1.59 -1.75 -6.13 0.00
C 1.56 -0.07 -5.26 0.00
C 2.59 0.81 -5.55 0.00
C 2.57 2.07 -4.99 0.00
C 1.54 2.45 -4.15 0.00
C 0.54 1.54 -3.84 0.00
C 0.54 0.27 -4.39 0.00
C -0.61 -0.68 -4.06 0.00
O -1.09 -1.34 -4.97 0.00
O -1.03 -0.66 -2.86 0.01
H 3.38 0.50 -6.21 0.00
H 3.37 2.77 -5.22 0.00
H 1.50 3.44 -3.73 0.00
H -0.26 1.82 -3.16 0.00
C 3.89 -2.99 -3.63 0.00
C 2.58 -3.35 -3.27 0.00
C 1.81 -2.50 -2.54 0.00
C 2.30 -1.24 -2.11 0.00
C 1.50 -0.33 -1.38 0.00
C 2.04 0.88 -1.02 0.00
C 3.38 1.20 -1.32 0.00
C 4.17 0.33 -2.01 0.00
C 3.64 -0.90 -2.45 0.00
C 4.41 -1.80 -3.22 0.00
H 4.47 -3.67 -4.25 0.00
H 2.18 -4.30 -3.59 0.00
H 0.79 -2.76 -2.27 0.00
H 1.45 1.61 -0.49 0.00
H 3.77 2.15 -0.98 0.00
H 5.20 0.57 -2.23 0.00
H 5.41 -1.51 -3.50 0.00
```

Total energy: -192983.4410 eV
Charge: -2
Spin multiplicity: 2
E_HOMO (alpha / beta): -2.3 / -2.3 eV
Energy above the lowest of the compared OMol25 structures with the same formula, charge and spin: 75.4 kcal/mol
Expectation value of S²: 0.797

---

Density functional theory data (ωB97M-V/def2-TZVPD) for 2 unconnected molecules or ions with the total composition C3H8N2O at a distorted geometry.

The geometry in XYZ format:
```
14
Properties=species:S:1:pos:R:3:mulliken_charge:R:1
H 4.71 -0.91 1.65 0.22
N 4.80 0.08 1.55 -0.63
C 4.38 0.68 0.53 0.10
N 4.78 1.99 0.33 -0.48
H 3.63 0.34 -0.18 0.32
H 4.06 2.62 0.02 0.21
H 5.38 2.41 1.01 0.26
C -4.03 -1.32 -0.54 -0.85
C -5.32 -0.68 -0.91 0.16
O -5.43 0.06 -1.85 -0.46
H -4.09 -2.02 0.30 0.29
H -3.20 -0.68 -0.25 0.29
H -3.49 -1.70 -1.42 0.27
H -6.18 -0.86 -0.25 0.30
```

Total energy: -8267.2908 eV
E_HOMO: -9.5 eV
Energy above the lowest of the compared OMol25 structures with the same formula, charge and spin: 46.9 kcal/mol
SMILES: [H]/N=C/N.CC=O

---
└──

“There’s a Party Tonight!”

If you do step into the role of official “party-thrower” for a birthday celebration or post-prom bash, keep the following in mind:

Ask your teen to draw up a guest list of a limited number of kids. In general, 20–30 kids is a manageable group. (Large parties are almost impossible to control.) Specify “no crashers.” Once teens can drive, party-crashing can and does occur; indicate that you’ll be around throughout the party, and if too many kids appear, you’ll have to close down. Agree ahead of time to the hours of the party. An end time gives you added control. If your teen needs a reminder, say that alcohol and drugs will not be tolerated. If kids bring in beer or any other substance, you can certainly ask them to leave. Specify that those who come to the party are to stay at the party; kids arriving, leaving, and returning are more likely to be bringing in illegal substances or are partaking elsewhere and then coming back—and you don’t need that either. While you certainly don’t want to monitor the party moment-to-moment, try to walk by once or twice during the evening (if only to bring in more food). If the party is in a basement rec room, keep some of the food upstairs. If the kids come up and realize parents are around, their behavior will probably remain more civilized. Invite another parent to keep you company. This also provides you with someone who knows some of the kids whom you don’t know. If you have agreed to a large party, notify the neighbors, and tell the police. The police may be able to make suggestions regarding parking, and if they’re keeping their eye out for you that night, it’s all for the good. See Talking About Drugs and Alcohol for information about your legal responsibilities regarding teens and alcohol.

[Misplaced data records]
-- begin --
{
  "formula": "C12H23N5O6SSn",
  "method": "ωB97M-V with the def2-TZVPD basis set",
  "multiplicity": 1,
  "gap_ev": 3.341,
  "lumo_energy_ev": -2.5,
  "e_tot_ha": -1808.40000,
  "species": ["O", "H", "Sn", "N", "N", "N", "N", "O", "O", "O", "O", "C", "C", "C", "C", "C", "H", "H", "H", "C", "H", "H", "H", "C", "C", "H", "H", "H", "H", "H", "H", "H", "H", "C", "H", "H", "H", "O", "H", "H", "S", "C", "C", "N", "C", "H", "H", "H"],
  "xyz": [[-0.628159, 4.118949, 1.280717], [0.273164, 4.457292, 1.005981], [0.013617, 0.253157, -0.122020], [-1.113798, 0.741944, 1.601866], [1.459522, 0.153677, 1.449124], [-1.475746, -0.309967, -1.517723], [1.033740, -1.149832, -1.363825], [-2.370057, 0.655418, 1.699083], [-2.806008, 0.131844, -1.633553], [2.367397, -1.522767, -1.219937], [2.631619, -0.399622, 1.296492], [1.079564, 0.890488, 2.529697], [-0.324684, 1.188829, 2.626967], [-1.058410, -1.134836, -2.479728], [0.331713, -1.583820, -2.410207], [-1.014676, 1.966518, 3.704314], [-1.516409, 2.814484, 3.196149], [-0.296630, 2.354490, 4.451535], [-1.764306, 1.315018, 4.203593], [2.135759, 1.355756, 3.485331], [2.845166, 1.992160, 2.918170], [2.670988, 0.491892, 3.926432], [1.684908, 1.953673, 4.294907], [-2.027749, -1.603248, -3.504401], [0.951184, -2.488438, -3.417051], [-2.904785, -0.940755, -3.506982], [-2.334369, -2.637855, -3.264509], [-1.522684, -1.597289, -4.482892], [1.881583, -2.920907, -3.019200], [1.164788, -1.892403, -4.320385], [0.223728, -3.273175, -3.665826], [-3.035275, 0.588442, -0.787839], [2.626556, -1.143977, -0.312263], [0.953637, 1.898959, -1.127030], [0.427537, 2.718150, -0.650183], [0.749527, 1.929224, -2.213747], [2.037166, 1.952827, -0.924536], [-3.083411, 3.197261, -0.230284], [-2.677199, 3.869365, 0.360520], [-2.394901, 3.062110, -0.909170], [-0.251627, -4.346183, 1.734428], [-1.892715, -3.751837, 1.519835], [-1.872730, -2.473435, 1.026249], [-0.595861, -1.963356, 0.839738], [0.345230, -2.844901, 1.177214], [-2.789598, -4.327647, 1.719238], [-2.748619, -1.850160, 0.808341], [1.428401, -2.702689, 1.143739]],
  "forces_ev_per_a": [[1.4, 0.0, -0.8], [-1.6, -0.4, 0.5], [1.2, 2.1, 2.8], [2.1, 0.6, 2.1], [-1.9, 1.1, 2.3], [-1.1, -1.5, -2.4], [0.0, -1.9, -2.2], [-0.9, 0.1, -0.6], [1.3, -0.4, 0.5], [-1.8, 0.4, -0.4], [1.0, -0.2, -0.8], [1.9, -1.4, -2.6], [-2.3, -0.1, -2.0], [-1.9, 1.8, 2.1], [2.7, 0.4, 2.3], [0.0, -0.3, 0.3], [0.3, -0.3, 0.2], [-0.5, -0.2, -0.4], [0.4, 0.5, -0.2], [-0.2, 0.0, 0.3], [-0.2, -0.4, 0.4], [-0.1, 0.5, -0.3], [0.3, -0.3, -0.4], [0.3, 0.0, -0.5], [-0.3, 0.1, -0.2], [0.4, -0.4, -0.1], [0.1, 0.4, -0.1], [-0.4, -0.1, 0.2], [-0.4, 0.2, -0.2], [0.0, -0.4, 0.2], [0.3, 0.1, -0.1], [0.4, 0.0, 0.0], [-0.1, 0.3, 0.4], [-0.3, -0.1, -0.6], [0.0, 0.6, 0.2], [0.1, -0.1, 0.5], [-0.6, -0.3, 0.0], [0.3, -0.1, -0.6], [0.5, -0.6, -0.1], [-0.4, 0.5, 0.7], [-1.3, 0.8, -0.2], [0.4, 0.4, -0.4], [0.5, -0.6, 0.3], [0.8, -1.0, 0.0], [-0.9, 0.3, -0.1], [0.4, -0.1, 0.1], [0.5, -0.3, 0.2], [-0.4, 0.4, -0.1]]
}

~~~~~

1.
-- stop --

Partying Elsewhere

Parents tell horror stories that sound like something straight out of Risky Business: they were out for the evening, and their teenagers entertained without permission. The results were disastrous: the neighbors called the police, many of the kids got drunk, and the living room furniture will never look the same. You don’t want to be those parents, but you also don’t want your teen to be at that party. That’s why I’m going to give you some additional guidelines. Every book you read says, “Call the parents to find out if anyone is going to be home.” I recommend that, too, but with full acknowledgment that it’s difficult to call people you don’t know to quiz them about their plans and still maintain a relationship with your teen. As alternatives, you might try the following: (Don’t tell your teen that you plan to call. It will only make him mad.)

### Unrelated to this page: data records
- - -
## one
Formula: C4H12OS
Source: OMol25
Level of theory: ωB97M-V with the def2-TZVPD basis set

```
18
Properties=species:S:1:pos:R:3:mulliken_charge:R:1
C 0.84 0.05 -2.01 -1.18
C -0.26 0.95 -1.46 -0.39
C -0.14 1.31 0.03 -0.45
C 0.64 0.32 0.87 -0.65
S 0.71 0.78 2.62 -0.21
H 0.57 -0.24 -3.02 0.37
H 1.01 -0.83 -1.40 0.31
H 1.77 0.61 -2.08 0.29
H -0.24 1.88 -2.02 0.26
H -1.23 0.47 -1.64 0.32
H 0.31 2.30 0.14 0.30
H -1.14 1.44 0.45 0.33
H 0.21 -0.68 0.80 0.26
H 1.68 0.28 0.53 0.33
H -0.58 0.60 2.84 0.09
O -1.27 -2.80 1.53 -0.61
H -2.00 -2.80 2.17 0.30
H -0.86 -3.65 1.65 0.31
```

The net charge is 0. As for the HOMO energy: -8.75 eV. As for the structure (SMILES): CCCCS.O. The gap between HOMO and LUMO is 9.39 eV.

=====

## two
Formula: C4H12OS
Source: OMol25
Level of theory: ωB97M-V with the def2-TZVPD basis set

```
18
Properties=species:S:1:pos:R:3:mulliken_charge:R:1
C 1.02 0.60 -1.67 -1.04
C 0.66 -0.54 -0.72 -0.47
S 1.27 -0.10 0.99 -0.11
C 2.25 -1.42 1.65 -0.80
H 0.33 0.63 -2.52 0.30
H 2.08 0.46 -1.85 0.33
H 0.79 1.56 -1.20 0.30
H -0.37 -0.88 -0.62 0.31
H 1.24 -1.44 -0.90 0.33
H 2.75 -2.10 0.97 0.31
H 2.98 -0.89 2.26 0.26
H 1.67 -2.05 2.33 0.26
C -2.77 0.66 0.12 -0.35
O -2.78 2.07 -0.05 -0.52
H -3.66 0.30 0.62 0.33
H -2.60 0.23 -0.87 0.18
H -1.87 0.39 0.68 0.09
H -2.97 2.50 0.76 0.29
```

The net charge is 0. As for the HOMO energy: -8.39 eV. As for the structure (SMILES): CCSC.CO. The gap between HOMO and LUMO is 9.34 eV.

=====

## three
Formula: C4H12OS
Source: OMol25
Level of theory: ωB97M-V with the def2-TZVPD basis set

```
18
Properties=species:S:1:pos:R:3:mulliken_charge:R:1
C -1.60 -0.51 -1.28 -1.39
C -0.72 0.08 -0.15 -0.44
C -0.59 1.66 -0.48 -0.46
S 1.28 1.99 -0.39 -0.14
C 1.86 1.11 1.10 -0.98
H -1.60 -1.68 -1.11 0.27
H -2.59 -0.25 -1.22 0.41
H -1.19 -0.33 -2.30 0.38
H 0.17 -0.51 -0.26 0.28
H -1.20 0.05 0.73 0.39
H -1.30 2.17 0.20 0.34
H -0.77 1.74 -1.54 0.32
H 1.82 1.96 1.91 0.31
H 1.18 0.52 1.58 0.35
H 2.71 0.48 0.97 0.37
O 0.59 -2.74 0.64 -0.60
H 1.31 -2.78 0.04 0.31
H 0.65 -2.98 1.56 0.29
```

The net charge is 0. As for the HOMO energy: -8.19 eV. As for the structure (SMILES): CCCSC.O. The gap between HOMO and LUMO is 8.84 eV.

=====

Which one sits at the bottom of the stability order? three does.

=====

## one
Formula: C4H2N2O
Source: OMol25
Level of theory: ωB97M-V with the def2-TZVPD basis set

```
9
Properties=species:S:1:pos:R:3:mulliken_charge:R:1
N -0.07 0.05 -1.44 -0.35
C 0.75 0.41 -0.43 0.41
O 1.82 0.96 -0.57 -0.57
C 0.24 0.09 0.97 0.61
C 0.82 0.46 2.10 -0.27
C -0.94 -0.64 1.34 0.04
N -1.87 -1.22 1.71 -0.32
H -0.97 -0.38 -1.30 0.21
H 0.23 0.26 -2.38 0.23
```

The net charge is 0. As for the HOMO energy: -11.16 eV. The gap between HOMO and LUMO is 9.32 eV.

=====

## two
Formula: C4H2N2O
Source: OMol25
Level of theory: ωB97M-V with the def2-TZVPD basis set

```
9
Properties=species:S:1:pos:R:3:mulliken_charge:R:1
N -3.14 -0.31 -0.03 -0.39
C -2.00 -0.39 -0.02 0.19
C -0.58 -0.35 0.05 0.49
C 0.22 0.79 0.00 -0.38
- - -

Call, but call with an offer: “How nice of you to have the kids over Friday night. Could I drop off some soda ahead of time, or is there anything else I can do to help you out?” If the party was a “surprise” party for the parents, you’ve just blown the whistle in the nicest of ways. If the call goes well, you’ve also made a new contact. Network. Call people you know who may be able to tell you what the scene will be like, or who can call and find out the arrangements for the party. Discuss times and transportation with your teen. What are the hours of the party, and how is your teen getting there? Remind her that if she goes elsewhere—for any reason—she’s to call you. Tell your teen that she can call you (or another adult whom you both trust) at any time—no questions asked—if she wants to leave the party. Remind your teen never to ride with someone who has been drinking. (Refer to Teen Driving: Keeping Your Teen Safe for additional guidelines.) Stay awake, or have your teen wake you, when he gets home. This is your opportunity to check on what condition he’s in following a party. Be suspicious if your teen frequently sleeps elsewhere after a party. He may not want to run into you for some reason. (Get the hint?)